Maleficent was sleeping soundly, curled in her Rowan tree, wings snug about her. She'd flown for days, wanting to be home as soon as possible. She really hated being gone from her family, she missed them terribly, but she knew she had a responsibility to the Moors as well, and her family understood.
Her eyes fluttered slightly, the rising sun disturbing her rest, though she'd had more than a decent night's sleep by this point, she allowed herself to rise, rolling slightly to stretch, but instead winced. She frowned as she sat up slowly, glancing beneath her, finding one of Emmett's dolls poking from the piles of linen and furs that made up the bedding. She smiled slightly, picking the doll up and with minimal effort she caused the doll to dance in slow, easy circles, sending her back to a time when she was a child, a bit older than Emmett.
She'd been carefree, a bit lonely, but at the time it did not bother her. She watched the doll dance, lost in memories, good and bad, though the bad memories before Aurora's birth were all but forgotten now, sometimes the pain itself resurfaced. The faerie pushed such thoughts away as she focused on the doll, thinking of her son.
Emmett, the little babe, was sitting comfortably upon the ends of Maleficent's wings. She was unbothered by the weight, but smiled as he moved from his sitting position and onto his hands and knees. Aurora was at the castle, dealing with recent raids upon the farm lands on the other side of the kingdom. Emmett was nearly a year old, and he'd still not managed to walk, and it worried the Guardian, wondering if perhaps something were wrong with him physically.
She watched the faerie babe crawl across the soft grass, then turned to his mother and smiled, tugging at her wings. Maleficent smiled, gently lifting her wing, tugging him into a standing position. He'd done this several times, she knew he needed to learn to stand on his own, so this was a rare occasion. His arms flailed slightly as he tried to balance before turning towards the sleeping Diaval, the raven's beak tucked beneath a wing atop a protruding root. Emmett did not seem to care though, Maleficent grinning broadly as her son walked on his own power, though a tad wobbly, towards the root. The closer he got she placed a slight cushion of magic before him, she did not want him to be hurt.
"Deeval!" He squealed, the raven fluffing and flopping off the root and at the Prince's feet as he was startled from sleep, squawking madly. Emmett laughed, falling back on his rear, but did not mind as Diaval gathered his wits, cawing at the boy and then glaring at Maleficent who also had her head tossed back in laughter.
Maleficent grinned, the memory always bringing a smile to her impossibly red lips. She set the doll aside, where Emmett could fetch it next time he was there. She made her way down from the tree, stretching as she slowly stood, moving to the highest branch before spreading her wings, with a mighty thrust she was in the air, eyes locked on the castle in the distance.
Aurora smiled as Emmett played in the royal garden with the other children. After the incident the other day with that woman she'd decided to leave the gates open, allowing the children to play and enjoy themselves without judgmental adults to get in the way. Aurora grinned to herself, 'I'm the best adult.' She made her way back into the castle, glad the children were getting along.
The Queen sat down at her desk, upstairs in her royal study. The room was large, a balcony that looked out on the entire village and the land, in the distance she could also see the Moors on clear days. At the moment she was fiddling with wrapping paper, she was never good at this. Maleficent did not understand gift giving holidays, but frankly she did not care. She enjoyed giving gifts to her family, they made sure not to spoil Emmett, and so far they seemed to be succeeding. Maleficent, though she went along only to see the smiles on her mate and son's faces, was always surprised when she received a gift. No doubt she would forget the coming day as she did every year. Aurora smiled warmly as she managed to seal the edges of the wrapping for this newest gift, remembering the first year Aurora had suggested they celebrate.
Emmett smiled up at his Queen mother, the down on his wings had just begun to shed, slight patches missing from the soft yellow fluff. He'd recently hit two summers old, his vocabulary growing every day, his horns shedding frequently into maturity. Aurora smiled back and kissed his forehead before handing him the gift, then set the flower crown atop his head, grinning stupidly at how adorable her son looked.
"Oh, you're so precious my little Emmett." Emmett blushed slightly and grinned at his mother.
"Will Mummy like th' present?" He glanced from the box to his mother, his hair wild and still learning its place. Aurora smiled, gently tucking his hair back from his face.
"Of course she will, with such a handsome prince delivering it why wouldn't she?" The blushing grin on his face made her heart melt. She walked just behind him as they made their way through the trees, Maleficent would be back soon from a brief patrol of the Moors. Aurora sat on a raised root, Emmett's wide eyes scanning the sky back and forth for his fae mother, hands grasping the box tightly, afraid to set it down or drop it. Aurora watched her son, then glanced up when his wings fluttered excitedly, bits of yellow fluff flying into the air. A dark, winged-shape made its way closer, taking form, until finally Maleficent dropped down just in front of the young prince.
"Hello, my little one." Emmett smiled brightly, running into the Guardian, burying his face against her thigh, box held in one arm, the other grasping her robes.
"Mummy!" Maleficent smiled, fingers running through golden hair, being gentle of his flower crown. She knelt and lifted the boy into her arms easily, their foreheads pressed together, he grinned happily at his mother, and she smiled back, matching eyes locked and communicating a love of a mother for her son and a son for his mother. Aurora felt her heart ache with happiness at the sight. Two angel's, and they were both hers.
Finally Maleficent noticed the box in his hand and smiled slightly. "And what is this?" Emmett seemed to finally remember himself and pulled back slightly, holding the box between them and smiled brightly.
"Mummy and I got you a present! Open it!" Maleficent quirked her brow, then nodded as she moved towards Aurora, taking a seat beside her, she gave her mate a loving kiss, no words need be exchanged between them. She gently set Emmett on her lap, then with one arm around his waist to keep him in place she opened the box, eyes widening at the matching gold circlets.
They were of different sizes, and knew one was for her horns, the other for Emmett's. She tugged the smaller one out first, admiring the runes, and designs painstakingly inlaid in the gold. Wings, and fairies decorating the circumference of it, a tiny crown in the center. She smiled warmly and kissed her son's forehead, gently setting the circlet on his horn, and he grinned, then held the larger up to her. "Now look at yours, mummy!" The guardian smiled and nodded, taking the larger band, and she smiled warmly, the designs on hers were of Aurora, herself, and little Emmett, an egg, and faeries decorating the rest of it. She moved to place it on but a soft hand stopped her. Aurora smiled at her mate, kissing her forehead before doing the honors of setting the band on her horn gently, and she grinned at her son and mate, they matched.
"I love you both so much." Maleficent smiled, and adjusted her position so she could tug Aurora down onto her other knee, and now she had an arm around each of her True Love's. She kissed her Queen, and then her Prince.
"And I love you, too, so very much…"
Aurora looked up from her desk as she heard familiar wing beats, a smile automatically gracing her features at the sight of her Guardian. The taller woman made her way in from the balcony, wings tucked in at her back, always graceful, as if she did not walk but float across the ground.
"You're early." Maleficent nodded, walking around the desk before taking a seat atop it, gazing down at her Beastie from her position, hands on her lap. She rolled a shoulder, smiling slightly at the human.
"I was hoping to return to you last night. But I was held a bit longer than I had intended." Aurora nodded, smiling up at Maleficent, the two were silent, just enjoying the moments they had together, they need not speak, or even look at each other, sometimes it was enough to be in the same room. When they were separated by duty even strangers could see a bit the lightness leave the women. They were bound in every way, there was no doubt to most people that they were truly meant to be, and no one could ever think to replace either of them in the others heart.
The women seemed to sit in silence, Maleficent's hand reaching down to the desk, lacing, unlacing, simply touching Aurora's, being the only contact or communication, when the door opened to the study.
"Mother!" The couple glanced up and smiled, watching as the young Princeling quite literally launching himself towards Maleficent. The woman laughed heartily, arms wrapping around her son happily, their foreheads pressing together as he grinned. She'd stood when she saw he was about to launch into the air, catching him and holding him happily. Aurora smiled at her family, loving moments just like these. "You're back! How was it? Did you see anything amazing?" Maleficent smiled and nodded, setting Emmett down upon the desk where she'd just been sitting, the present forgotten for a moment.
"I did, do you remember the story I told you of dragons?" Emmett nodded, buzzing with excitement. He loved the old stories, histories his mother would tell him. She was not as old as some of the faerie's of the Moors, but she was wise, gifted with protecting their home, and so was also entrusted with much of the history. "Well, it seems that in what was once their home they…discovered something." She paused for dramatic effect, knowing it drove her son insane, and it was true once more.
"….Mother!" She grinned at him.
"They found an egg, it's quite the discovery," she smiled as his eyes widened. "We don't know if its mother is about, so it's being washed, but also being kept warm and loved. I can't imagine what it will mean in the long run…but the dragons are returning." His mouth was hanging open.
"Wh-c-moth-I…Can I go see it!? Would that be okay? What about when it hatches? I want to see the baby dragon!" Maleficent grinned and glanced at Aurora, who was just as amused at Emmett's excitement.
"How about we wait until you can fly? That way can go, too." Aurora offered, Emmett frowned but just nodded, groaning softly.
"Okay…that sounds like fun…dragons…" He was in awe. Maleficent chuckled, glancing towards her mate, quirking her brow as instead of Aurora she saw a half-wrapped box in her face. She rolled her eyes playfully but took the offered gift.
Molecular data that have nothing to do with the piece =
(1)
2 unconnected molecules or ions with the total composition CH4FN at a distorted geometry, computed with ωB97M-V/def2-TZVPD.

CARTESIAN COORDINATES (ANGSTROEM)
1 N -0.20 0.61 -0.09
2 H -0.50 -1.39 0.06
3 H -0.54 1.52 0.13
4 C -1.00 -0.35 0.02
5 H 1.69 -0.13 -0.25
6 F 2.58 -0.07 0.07
7 H -2.03 -0.18 0.05

Properties
2S+1 = 1
Charge = 0
E_LUMO = 0.928 eV


(2)
A gas-phase ion, CH4FN2 (charge +1) at a distorted geometry, computed with ωB97M-V/def2-TZVPD.

CARTESIAN COORDINATES (ANGSTROEM)
1 N 0.13 -0.58 -1.04
2 N 0.05 0.79 0.91
3 H -0.40 0.04 1.39
4 H 0.31 1.70 1.24
5 H 0.24 -0.51 -2.02
6 H -0.42 -1.36 -0.76
7 C 0.63 0.54 -0.22
8 F 1.53 1.25 -0.76

Properties
2S+1 = 1
Charge = +1
E_LUMO = -4.727 eV


(3)
2 unconnected molecules or ions with the total composition CH4FN2O at a distorted geometry, computed with ωB97M-V/def2-TZVPD.

CARTESIAN COORDINATES (ANGSTROEM)
1 H 1.03 0.52 -1.08
2 H 1.18 0.64 0.81
3 N -1.02 -1.39 -0.04
4 N 0.00 -0.94 0.22
5 H 1.90 -0.90 -0.07
6 C 1.11 -0.16 -0.08
7 O -1.92 -2.07 -0.10
8 H -0.98 2.53 0.41
9 F -1.30 1.78 -0.07

Properties
2S+1 = 1
Charge = +1
E_LUMO = -6.233 eV


(4)
A molecular structure, CH4FN4O14V at a distorted geometry, computed with ωB97M-V/def2-TZVPD.

CARTESIAN COORDINATES (ANGSTROEM)
1 N 2.96 1.11 1.86
2 N -1.05 3.75 1.41
3 H -3.90 -3.62 -2.37
4 O 1.75 1.25 1.66
5 N 1.62 -2.20 0.40
6 O -3.21 -2.97 -2.25
7 O 1.65 -3.41 0.70
8 O 3.63 0.99 0.82
9 H -4.01 -1.72 -0.87
10 O -1.07 4.91 1.02
11 O -0.71 2.90 0.61
12 N 2.08 1.15 -2.37
13 F -1.23 0.34 2.36
14 V -0.03 0.64 0.47
15 O 3.16 0.65 -2.36
16 O 0.60 -1.57 0.53
17 O 1.28 1.02 -1.45
18 H -3.53 -3.41 -0.32
19 H -2.26 -2.22 -0.68
20 C -3.28 -2.53 -0.90
21 O 1.85 1.82 -3.35
22 O 3.54 1.10 2.96
23 O 2.64 -1.69 0.06
24 O -1.23 3.35 2.53
25 O -1.27 0.38 -0.44

Properties
2S+1 = 2
Charge = -3
E_LUMO (spin up / spin down) = 6.320 / 6.320 eV


(5)
A molecular structure, CH4FNS2 at a distorted geometry, computed with ωB97M-V/def2-TZVPD.

CARTESIAN COORDINATES (ANGSTROEM)
1 S 0.98 -1.83 1.24
2 H -0.57 1.36 -0.67
3 S -0.55 0.85 2.13
4 C -0.02 0.44 -0.50
5 H -0.44 -0.36 -1.11
6 H 0.43 -1.99 2.43
7 H 1.03 0.59 -0.78
8 F 0.69 1.92 2.64
9 N -0.14 0.10 0.88

Properties
2S+1 = 1
Charge = 0
E_LUMO (spin up / spin down) = -1.373 / -1.372 eV


(6)
CH4FNS2 in the gas phase at a distorted geometry, computed with ωB97M-V/def2-TZVPD.

CARTESIAN COORDINATES (ANGSTROEM)
1 S 2.47 -1.02 0.10
2 H -1.52 -1.02 0.39
3 S 1.25 0.76 0.45
4 F 1.43 1.28 -1.21
5 H -2.19 0.54 0.92
6 H -1.60 0.36 -0.74
7 N -0.17 0.51 0.74
8 C -1.43 0.06 0.29
9 H 1.77 -1.47 -0.94

Properties
2S+1 = 3
Charge = 0
E_LUMO (spin up / spin down) = 0.156 / -4.142 eV


(7)
2 unconnected molecules or ions with the total composition CH4FPS2 at a distorted geometry, computed with ωB97M-V/def2-TZVPD.

CARTESIAN COORDINATES (ANGSTROEM)
1 H -0.90 0.11 0.34
2 S -0.09 0.65 -0.59
3 P 0.19 1.62 2.35
4 S -0.15 -0.03 3.30
5 H 0.70 -1.15 -1.85
6 H -0.62 -0.54 -2.76
7 H -0.76 -1.54 -1.31
8 C -0.22 -0.76 -1.77
9 F 1.83 1.63 2.29
"Pushy, aren't we?" She teased, gently undoing the wrapping, removing the gift and saw inside a card. She read it and quirked her brow. "A portrait?" Aurora nodded, smiling warmly.
"I have a portrait of my coronation already, but there are none of you or of Emmett, and you are both my Queen-consort and Crown Prince respectively. Besides, it'll be fun, and ground breaking." Maleficent smiled slightly, setting the card back in its box and setting the box onto the desk.
"You're certainly determined to break ground, aren't you?" Aurora nodded, considering telling Maleficent what had happened in the square, but would that encourage Maleficent to make peace or simply foster her distrust of humans.
"I just want peace to reign for as long as possible." She said, instead, smiling warmly up at her mate. Maleficent simply nodded, then returned her attention to their son, glad to just be home, with her family. She would suffer through a simple portrait if she must, if Aurora wanted her to.